_Work order_
Start at the top of the lines underneath and write out each line, ending with the one that has "0.6493 0.2500".

_Entries_
<<<
Density functional theory data (GGA-PBE) for a relaxed structure of RbGaBP2HO9.

Computed properties:
The calculation puts the calculated volume at 762.1 Å³ per cell. The MP2020-corrected energy comes out at -430.92 eV per cell. Its space group is No. 14.

Cell: 8.5357 9.4679 9.6886 Å, 76.74 90.00 90.00°
Atoms (fractional coordinates):
O 0.6945 0.0829 0.2491
B 0.0509 0.8364 0.3030
Rb 0.1071 0.6918 0.9373
Rb 0.6071 0.3082 0.5627
O 0.0885 0.0842 0.7653
P 0.5637 0.5725 0.7926
O 0.4115 0.0842 0.2653
Ga 0.1566 0.2981 0.4335
P 0.7652 0.9164 0.7792
O 0.1299 0.1539 0.3144
O 0.8380 0.5808 0.4233
O 0.8414 0.6001 0.1534
O 0.7129 0.8504 0.4374
O 0.4567 0.8088 0.9614
O 0.5700 0.3069 0.2295
P 0.0637 0.4275 0.7074
O 0.4846 0.4249 0.8038
O 0.2871 0.1496 0.5626
H 0.9344 0.1060 0.5016
H 0.5656 0.1060 0.0016
H 0.0656 0.8940 0.4984
O 0.3380 0.4192 0.0767
O 0.1945 0.9171 0.2509
O 0.3414 0.3999 0.3466
O 0.3055 0.9171 0.7509
O 0.4300 0.6931 0.7705
O 0.1620 0.4192 0.5767
O 0.3701 0.1539 0.8144
O 0.6620 0.5808 0.9233
O 0.0154 0.4249 0.3038
O 0.5885 0.9158 0.7347
O 0.8701 0.8461 0.6856
O 0.6586 0.6001 0.6534
O 0.9846 0.5751 0.6962
O 0.2129 0.1496 0.0626
O 0.0700 0.6931 0.2705
B 0.4491 0.8364 0.8030
Ga 0.8434 0.7019 0.5665
O 0.7871 0.8504 0.9374
H 0.4344 0.8940 0.9984
P 0.2652 0.0836 0.7208
P 0.9363 0.5725 0.2926
O 0.9567 0.1912 0.5386
O 0.1586 0.3999 0.8466
O 0.9300 0.3069 0.7295
Rb 0.8929 0.3082 0.0627
O 0.0433 0.8088 0.4614
O 0.8055 0.0829 0.7491
O 0.9115 0.9158 0.2347
O 0.6299 0.8461 0.1856
O 0.5154 0.5751 0.1962
P 0.7348 0.9164 0.2792
B 0.9491 0.1636 0.6970
Ga 0.3434 0.2981 0.9335
P 0.4363 0.4275 0.2074
P 0.2348 0.0836 0.2208
Ga 0.6566 0.7019 0.0665
B 0.5509 0.1636 0.1970
O 0.5433 0.1912 0.0386
Rb 0.3929 0.6918 0.4373



Density functional theory data (GGA-PBE) for a relaxed structure of Na4Ti11O24.

Computed properties:
The calculation puts the calculated volume at 490.3 Å³ per cell. The MP2020-corrected energy comes out at -335.30 eV per cell. Its space group is No. 8. The total magnetization is 0.0 μB/f.u.

Cell: 10.5034 10.5034 6.1552 Å, 73.96 73.96 119.97°
Atoms (fractional coordinates):
O 0.6055 0.2616 0.6231
O 0.2695 0.5996 0.1958
Na 0.7091 0.7091 0.8743
O 0.5916 0.7451 0.1962
O 0.6733 0.8255 0.5541
Ti 0.3758 0.0384 0.3726
O 0.8173 0.1465 0.5548
Na 0.0919 0.0919 0.7282
O 0.7451 0.5916 0.1962
O 0.4766 0.4766 0.6011
O 0.1465 0.8173 0.5548
Ti 0.7100 0.2082 0.3738
Ti 0.5390 0.3784 0.3928
Ti 0.0377 0.3767 0.8792
O 0.1028 0.3067 0.1204
Na 0.7425 0.4194 0.7689
Ti 0.3767 0.0377 0.8792
O 0.3171 0.1118 0.6276
O 0.3067 0.1028 0.1204
Ti 0.7069 0.7069 0.3696
O 0.9424 0.4294 0.1575
O 0.4276 0.4276 0.2361
O 0.4294 0.9424 0.1575
O 0.9860 0.9860 0.5146
O 0.1548 0.8107 0.1259
Ti 0.0394 0.8756 0.3568
O 0.8255 0.6733 0.5541
O 0.8107 0.1548 0.1259
O 0.1118 0.3171 0.6276
Ti 0.3784 0.5390 0.3928
Ti 0.8756 0.0394 0.3568
Ti 0.0384 0.3758 0.3726
O 0.4740 0.9881 0.5934
O 0.9881 0.4740 0.5934
Ti 0.2082 0.7100 0.3738
Na 0.4194 0.7425 0.7689
O 0.2616 0.6055 0.6231
O 0.5996 0.2695 0.1958
O 0.9409 0.9409 0.1503



Density functional theory data (GGA-PBE) for a relaxed structure of Ba3Co2N4.

Computed properties:
The calculation puts the energy above the most stable polymorph in this dataset at 0.000 eV/atom. The calculation puts the calculated volume at 631.4 Å³ per cell. The MP2020-corrected energy comes out at -226.77 eV per cell. Its space group is No. 52. The total magnetization is 2.0 μB/f.u.

Cell: 6.1505 10.2507 10.0140 Å, 90.00 90.00 90.00°
Atoms (fractional coordinates):
Co 0.6493 0.2500 0.7500
Co 0.2500 0.0000 0.2339
Co 0.1493 0.2500 0.2500
N 0.5217 0.4052 0.8221
N 0.9783 0.9052 0.6779
Ba 0.7500 0.0000 0.0976
N 0.0217 0.4052 0.1779
N 0.4783 0.9052 0.3221
Ba 0.3999 0.8427 0.5850
Co 0.2500 0.5000 0.2661
N 0.6682 0.8556 0.8645
N 0.3318 0.3556 0.3645
Ba 0.8999 0.8427 0.4150
Co 0.7500 0.0000 0.7661
Co 0.7500 0.5000 0.7339
N 0.8318 0.3556 0.6355
N 0.4783 0.5948 0.1779
Ba 0.1001 0.3427 0.9150
N 0.1682 0.6444 0.3645
N 0.6682 0.6444 0.6355
N 0.3318 0.1444 0.1355
>>>

_Worked solution_
Density functional theory data (GGA-PBE) for a relaxed structure of RbGaBP2HO9.

Computed properties:
The calculation puts the calculated volume at 762.1 Å³ per cell. The MP2020-corrected energy comes out at -430.92 eV per cell. Its space group is No. 14.

Cell: 8.5357 9.4679 9.6886 Å, 76.74 90.00 90.00°
Atoms (fractional coordinates):
O 0.6945 0.0829 0.2491
B 0.0509 0.8364 0.3030
Rb 0.1071 0.6918 0.9373
Rb 0.6071 0.3082 0.5627
O 0.0885 0.0842 0.7653
P 0.5637 0.5725 0.7926
O 0.4115 0.0842 0.2653
Ga 0.1566 0.2981 0.4335
P 0.7652 0.9164 0.7792
O 0.1299 0.1539 0.3144
O 0.8380 0.5808 0.4233
O 0.8414 0.6001 0.1534
O 0.7129 0.8504 0.4374
O 0.4567 0.8088 0.9614
O 0.5700 0.3069 0.2295
P 0.0637 0.4275 0.7074
O 0.4846 0.4249 0.8038
O 0.2871 0.1496 0.5626
H 0.9344 0.1060 0.5016
H 0.5656 0.1060 0.0016
H 0.0656 0.8940 0.4984
O 0.3380 0.4192 0.0767
O 0.1945 0.9171 0.2509
O 0.3414 0.3999 0.3466
O 0.3055 0.9171 0.7509
O 0.4300 0.6931 0.7705
O 0.1620 0.4192 0.5767
O 0.3701 0.1539 0.8144
O 0.6620 0.5808 0.9233
O 0.0154 0.4249 0.3038
O 0.5885 0.9158 0.7347
O 0.8701 0.8461 0.6856
O 0.6586 0.6001 0.6534
O 0.9846 0.5751 0.6962
O 0.2129 0.1496 0.0626
O 0.0700 0.6931 0.2705
B 0.4491 0.8364 0.8030
Ga 0.8434 0.7019 0.5665
O 0.7871 0.8504 0.9374
H 0.4344 0.8940 0.9984
P 0.2652 0.0836 0.7208
P 0.9363 0.5725 0.2926
O 0.9567 0.1912 0.5386
O 0.1586 0.3999 0.8466
O 0.9300 0.3069 0.7295
Rb 0.8929 0.3082 0.0627
O 0.0433 0.8088 0.4614
O 0.8055 0.0829 0.7491
O 0.9115 0.9158 0.2347
O 0.6299 0.8461 0.1856
O 0.5154 0.5751 0.1962
P 0.7348 0.9164 0.2792
B 0.9491 0.1636 0.6970
Ga 0.3434 0.2981 0.9335
P 0.4363 0.4275 0.2074
P 0.2348 0.0836 0.2208
Ga 0.6566 0.7019 0.0665
B 0.5509 0.1636 0.1970
O 0.5433 0.1912 0.0386
Rb 0.3929 0.6918 0.4373



Density functional theory data (GGA-PBE) for a relaxed structure of Na4Ti11O24.

Computed properties:
The calculation puts the calculated volume at 490.3 Å³ per cell. The MP2020-corrected energy comes out at -335.30 eV per cell. Its space group is No. 8. The total magnetization is 0.0 μB/f.u.

Cell: 10.5034 10.5034 6.1552 Å, 73.96 73.96 119.97°
Atoms (fractional coordinates):
O 0.6055 0.2616 0.6231
O 0.2695 0.5996 0.1958
Na 0.7091 0.7091 0.8743
O 0.5916 0.7451 0.1962
O 0.6733 0.8255 0.5541
Ti 0.3758 0.0384 0.3726
O 0.8173 0.1465 0.5548
Na 0.0919 0.0919 0.7282
O 0.7451 0.5916 0.1962
O 0.4766 0.4766 0.6011
O 0.1465 0.8173 0.5548
Ti 0.7100 0.2082 0.3738
Ti 0.5390 0.3784 0.3928
Ti 0.0377 0.3767 0.8792
O 0.1028 0.3067 0.1204
Na 0.7425 0.4194 0.7689
Ti 0.3767 0.0377 0.8792
O 0.3171 0.1118 0.6276
O 0.3067 0.1028 0.1204
Ti 0.7069 0.7069 0.3696
O 0.9424 0.4294 0.1575
O 0.4276 0.4276 0.2361
O 0.4294 0.9424 0.1575
O 0.9860 0.9860 0.5146
O 0.1548 0.8107 0.1259
Ti 0.0394 0.8756 0.3568
O 0.8255 0.6733 0.5541
O 0.8107 0.1548 0.1259
O 0.1118 0.3171 0.6276
Ti 0.3784 0.5390 0.3928
Ti 0.8756 0.0394 0.3568
Ti 0.0384 0.3758 0.3726
O 0.4740 0.9881 0.5934
O 0.9881 0.4740 0.5934
Ti 0.2082 0.7100 0.3738
Na 0.4194 0.7425 0.7689
O 0.2616 0.6055 0.6231
O 0.5996 0.2695 0.1958
O 0.9409 0.9409 0.1503



Density functional theory data (GGA-PBE) for a relaxed structure of Ba3Co2N4.

Computed properties:
The calculation puts the energy above the most stable polymorph in this dataset at 0.000 eV/atom. The calculation puts the calculated volume at 631.4 Å³ per cell. The MP2020-corrected energy comes out at -226.77 eV per cell. Its space group is No. 52. The total magnetization is 2.0 μB/f.u.

Cell: 6.1505 10.2507 10.0140 Å, 90.00 90.00 90.00°
Atoms (fractional coordinates):
Co 0.6493 0.2500 0.7500